# Data
+++
Entry 1:
DFT (PBE) results for a geometry-optimized PrNdTl2 structure.

The space group is Fm-3m (No. 225) and the conventional cell measures 7.857, 7.857 and 7.857 Å, with angles of 90.00, 90.00 and 90.00 degrees. The distinct sites, in fractional coordinates, are Pr at (0.000, 0.000, 0.000), Nd at (0.000, 0.000, 0.500) and Tl at (0.250, 0.250, 0.250).

As for the energy of formation from the pure elements: -1.6 eV/f.u. As for the electronic total energy: -63.42 eV for the cell shown.

=====

Entry 2:
DFT (PBE) results for a geometry-optimized Nd4Pt structure.

The space group is Fd-3m (No. 227, origin choice 2) and the conventional cell measures 11.309, 11.309 and 11.309 Å, with angles of 90.00, 90.00 and 90.00 degrees. The distinct sites, in fractional coordinates, are Nd at (0.014, 0.014, 0.236) and Pt at (0.125, 0.125, 0.625).

As for the energy of formation from the pure elements: -0.1 eV/f.u. As for the electronic total energy: -202.16 eV for the cell shown.

=====

Entry 3:
DFT (PBE) results for a geometry-optimized NdPt2 structure.

The space group is Fd-3m (No. 227, origin choice 2) and the conventional cell measures 7.813, 7.813 and 7.813 Å, with angles of 90.00, 90.00 and 90.00 degrees. The distinct sites, in fractional coordinates, are Nd at (0.125, 0.125, 0.125) and Pt at (0.000, 0.000, 0.500).

As for the energy of formation from the pure elements: -3.1 eV/f.u. As for the electronic total energy: -160.20 eV for the cell shown.

=====

Entry 4:
DFT (PBE) results for a geometry-optimized NdSbPt structure.

The space group is P6_3mc (No. 186) and the conventional cell measures 4.5889, 4.5889 and 8.0756 Å, with angles of 90.00, 90.00 and 120.00 degrees. The distinct sites, in fractional coordinates, are Nd at (0.0000, 0.0000, 0.0000), Sb at (0.3333, 0.6667, 0.2625) and Pt at (0.3333, 0.6667, 0.7039).

As for the energy of formation from the pure elements: -3.3 eV/f.u. As for the electronic total energy: -36.59 eV for the cell shown.

=====

Entry 5:
DFT (PBE) results for a geometry-optimized Nd2Si3Pt3 structure.

The space group is P4/mmm (No. 123) and the conventional cell measures 2.799, 2.799 and 21.160 Å, with angles of 90.00, 90.00 and 90.00 degrees. The distinct sites, in fractional coordinates, are Nd at (0.000, 0.000, 0.246), Si at (0.000, 0.000, 0.000), Si at (0.000, 0.000, 0.389), Pt at (0.000, 0.000, 0.112) and Pt at (0.000, 0.000, 0.500).

As for the energy of formation from the pure elements: 3.4 eV/f.u. As for the electronic total energy: -40.63 eV for the cell shown.

=====

Entry 6:
DFT (PBE) results for a geometry-optimized NdSiPt structure.

The space group is I4_1md (No. 109) and the conventional cell measures 4.222, 4.222 and 14.495 Å, with angles of 90.00, 90.00 and 90.00 degrees. The distinct sites, in fractional coordinates, are Nd at (0.000, 0.000, 0.000), Si at (0.000, 0.000, 0.420) and Pt at (0.000, 0.000, 0.587).

As for the energy of formation from the pure elements: -3.4 eV/f.u. As for the electronic total energy: -78.59 eV for the cell shown.

=====

Entry 7:
DFT (PBE) results for a geometry-optimized Nd3Si11Pt23 structure.

The space group is Fm-3m (No. 225) and the conventional cell measures 17.052, 17.052 and 17.052 Å, with angles of 90.00, 90.00 and 90.00 degrees. The distinct sites, in fractional coordinates, are Nd at (0.000, 0.250, 0.250), Si at (0.000, 0.000, 0.171), Si at (0.107, 0.107, 0.393), Si at (0.165, 0.165, 0.165), Pt at (0.000, 0.000, 0.375), Pt at (0.083, 0.083, 0.083), Pt at (0.084, 0.084, 0.252) and Pt at (0.192, 0.192, 0.308).

As for the energy of formation from the pure elements: -32.7 eV/f.u. As for the electronic total energy: -1970.80 eV for the cell shown.

=====

Entry 8:
DFT (PBE) results for a geometry-optimized NdPu3 structure.
+++

# Activity
Please write out the whole of the contents earlier on with every line break kept.

# Result
Entry 1:
DFT (PBE) results for a geometry-optimized PrNdTl2 structure.

The space group is Fm-3m (No. 225) and the conventional cell measures 7.857, 7.857 and 7.857 Å, with angles of 90.00, 90.00 and 90.00 degrees. The distinct sites, in fractional coordinates, are Pr at (0.000, 0.000, 0.000), Nd at (0.000, 0.000, 0.500) and Tl at (0.250, 0.250, 0.250).

As for the energy of formation from the pure elements: -1.6 eV/f.u. As for the electronic total energy: -63.42 eV for the cell shown.

=====

Entry 2:
DFT (PBE) results for a geometry-optimized Nd4Pt structure.

The space group is Fd-3m (No. 227, origin choice 2) and the conventional cell measures 11.309, 11.309 and 11.309 Å, with angles of 90.00, 90.00 and 90.00 degrees. The distinct sites, in fractional coordinates, are Nd at (0.014, 0.014, 0.236) and Pt at (0.125, 0.125, 0.625).

As for the energy of formation from the pure elements: -0.1 eV/f.u. As for the electronic total energy: -202.16 eV for the cell shown.

=====

Entry 3:
DFT (PBE) results for a geometry-optimized NdPt2 structure.

The space group is Fd-3m (No. 227, origin choice 2) and the conventional cell measures 7.813, 7.813 and 7.813 Å, with angles of 90.00, 90.00 and 90.00 degrees. The distinct sites, in fractional coordinates, are Nd at (0.125, 0.125, 0.125) and Pt at (0.000, 0.000, 0.500).

As for the energy of formation from the pure elements: -3.1 eV/f.u. As for the electronic total energy: -160.20 eV for the cell shown.

=====

Entry 4:
DFT (PBE) results for a geometry-optimized NdSbPt structure.

The space group is P6_3mc (No. 186) and the conventional cell measures 4.5889, 4.5889 and 8.0756 Å, with angles of 90.00, 90.00 and 120.00 degrees. The distinct sites, in fractional coordinates, are Nd at (0.0000, 0.0000, 0.0000), Sb at (0.3333, 0.6667, 0.2625) and Pt at (0.3333, 0.6667, 0.7039).

As for the energy of formation from the pure elements: -3.3 eV/f.u. As for the electronic total energy: -36.59 eV for the cell shown.

=====

Entry 5:
DFT (PBE) results for a geometry-optimized Nd2Si3Pt3 structure.

The space group is P4/mmm (No. 123) and the conventional cell measures 2.799, 2.799 and 21.160 Å, with angles of 90.00, 90.00 and 90.00 degrees. The distinct sites, in fractional coordinates, are Nd at (0.000, 0.000, 0.246), Si at (0.000, 0.000, 0.000), Si at (0.000, 0.000, 0.389), Pt at (0.000, 0.000, 0.112) and Pt at (0.000, 0.000, 0.500).

As for the energy of formation from the pure elements: 3.4 eV/f.u. As for the electronic total energy: -40.63 eV for the cell shown.

=====

Entry 6:
DFT (PBE) results for a geometry-optimized NdSiPt structure.

The space group is I4_1md (No. 109) and the conventional cell measures 4.222, 4.222 and 14.495 Å, with angles of 90.00, 90.00 and 90.00 degrees. The distinct sites, in fractional coordinates, are Nd at (0.000, 0.000, 0.000), Si at (0.000, 0.000, 0.420) and Pt at (0.000, 0.000, 0.587).

As for the energy of formation from the pure elements: -3.4 eV/f.u. As for the electronic total energy: -78.59 eV for the cell shown.

=====

Entry 7:
DFT (PBE) results for a geometry-optimized Nd3Si11Pt23 structure.

The space group is Fm-3m (No. 225) and the conventional cell measures 17.052, 17.052 and 17.052 Å, with angles of 90.00, 90.00 and 90.00 degrees. The distinct sites, in fractional coordinates, are Nd at (0.000, 0.250, 0.250), Si at (0.000, 0.000, 0.171), Si at (0.107, 0.107, 0.393), Si at (0.165, 0.165, 0.165), Pt at (0.000, 0.000, 0.375), Pt at (0.083, 0.083, 0.083), Pt at (0.084, 0.084, 0.252) and Pt at (0.192, 0.192, 0.308).

As for the energy of formation from the pure elements: -32.7 eV/f.u. As for the electronic total energy: -1970.80 eV for the cell shown.

=====

Entry 8:
DFT (PBE) results for a geometry-optimized NdPu3 structure.